## Contents
********
Computed, not measured: CdSO4 after structural relaxation at the r2SCAN level of DFT.

abc: 4.8906 4.8906 7.1838
angles: 90.00 90.00 113.81
Last column: nearest neighbours and their distance in Å.
Fractional coordinates of all 12 atoms:
Cd: 0.0000 0.0000 0.0000  6 O 2.26-2.33
Cd: 0.0000 0.0000 0.5000  6 O 2.26-2.33
S: 0.3618 0.6382 0.7500  4 O 1.46-1.50
S: 0.6382 0.3618 0.2500  4 O 1.46-1.50
O: 0.2421 0.3038 0.7500  1 S 1.50
O: 0.2664 0.7336 0.5790  1 S 1.46
O: 0.2664 0.7336 0.9210  1 S 1.46
O: 0.3038 0.2421 0.2500  1 S 1.50
O: 0.6962 0.7579 0.7500  1 S 1.50
O: 0.7336 0.2664 0.0790  1 S 1.46
O: 0.7336 0.2664 0.4210  1 S 1.46
O: 0.7579 0.6962 0.2500  1 S 1.50

Results
**DFT formation energy**: -1.54 eV per atom
**V**: 78.60 Å³/f.u.

Computed, not measured: CdSe2O5 after structural relaxation at the r2SCAN level of DFT.

abc: 6.9916 6.9916 6.0098
angles: 106.53 106.53 109.19
Last column: nearest neighbours and their distance in Å.
Fractional coordinates of all 16 atoms:
Cd: 0.0889 0.9111 0.7500  6 O 2.28-2.32
Cd: 0.9111 0.0889 0.2500  6 O 2.28-2.32
Se: 0.2139 0.4972 0.8843  3 O 1.67-1.83
Se: 0.4972 0.2139 0.3843  3 O 1.67-1.83
Se: 0.5028 0.7861 0.6157  3 O 1.67-1.83
Se: 0.7861 0.5028 0.1157  3 O 1.67-1.83
O: 0.0200 0.5764 0.7721  1 Se 1.67
O: 0.0955 0.2250 0.6850  1 Se 1.69
O: 0.2250 0.0955 0.1850  1 Se 1.69
O: 0.4142 0.5858 0.7500  2 Se 1.83
O: 0.4236 0.9800 0.7279  1 Se 1.67
O: 0.5764 0.0200 0.2721  1 Se 1.67
O: 0.5858 0.4142 0.2500  2 Se 1.83
O: 0.7750 0.9045 0.8150  1 Se 1.69
O: 0.9045 0.7750 0.3150  1 Se 1.69
O: 0.9800 0.4236 0.2279  1 Se 1.67

Results
**DFT formation energy**: -0.98 eV per atom
**V**: 120.84 Å³/f.u.

- The lowest DFT formation energy belongs to which entry?
  CdSO4

What did the first record say?
Computed, not measured: CdSO4 after structural relaxation at the r2SCAN level of DFT.

abc: 4.8906 4.8906 7.1838
angles: 90.00 90.00 113.81
Last column: nearest neighbours and their distance in Å.
Fractional coordinates of all 12 atoms:
Cd: 0.0000 0.0000 0.0000  6 O 2.26-2.33
Cd: 0.0000 0.0000 0.5000  6 O 2.26-2.33
S: 0.3618 0.6382 0.7500  4 O 1.46-1.50
S: 0.6382 0.3618 0.2500  4 O 1.46-1.50
O: 0.2421 0.3038 0.7500  1 S 1.50
O: 0.2664 0.7336 0.5790  1 S 1.46
O: 0.2664 0.7336 0.9210  1 S 1.46
O: 0.3038 0.2421 0.2500  1 S 1.50
O: 0.6962 0.7579 0.7500  1 S 1.50
O: 0.7336 0.2664 0.0790  1 S 1.46
O: 0.7336 0.2664 0.4210  1 S 1.46
O: 0.7579 0.6962 0.2500  1 S 1.50

Results
**DFT formation energy**: -1.54 eV per atom
**V**: 78.60 Å³/f.u.

Repeat the second record exactly.
Computed, not measured: CdSe2O5 after structural relaxation at the r2SCAN level of DFT.

abc: 6.9916 6.9916 6.0098
angles: 106.53 106.53 109.19
Last column: nearest neighbours and their distance in Å.
Fractional coordinates of all 16 atoms:
Cd: 0.0889 0.9111 0.7500  6 O 2.28-2.32
Cd: 0.9111 0.0889 0.2500  6 O 2.28-2.32
Se: 0.2139 0.4972 0.8843  3 O 1.67-1.83
Se: 0.4972 0.2139 0.3843  3 O 1.67-1.83
Se: 0.5028 0.7861 0.6157  3 O 1.67-1.83
Se: 0.7861 0.5028 0.1157  3 O 1.67-1.83
O: 0.0200 0.5764 0.7721  1 Se 1.67
O: 0.0955 0.2250 0.6850  1 Se 1.69
O: 0.2250 0.0955 0.1850  1 Se 1.69
O: 0.4142 0.5858 0.7500  2 Se 1.83
O: 0.4236 0.9800 0.7279  1 Se 1.67
O: 0.5764 0.0200 0.2721  1 Se 1.67
O: 0.5858 0.4142 0.2500  2 Se 1.83
O: 0.7750 0.9045 0.8150  1 Se 1.69
O: 0.9045 0.7750 0.3150  1 Se 1.69
O: 0.9800 0.4236 0.2279  1 Se 1.67

Results
**DFT formation energy**: -0.98 eV per atom
**V**: 120.84 Å³/f.u.

- V of number 2 (CdSe2O5)?
  120.84 Å³/f.u.

* * * * *

#1
Li4Co2C4SO16: relaxed, PBE with a Hubbard U.

Cell: 9.629 9.565 9.226 Å, 61.62 60.92 57.46°
Fractional coordinates of all 54 atoms:
Li 0.080 0.670 0.080
Li 0.081 0.669 0.669
Li 0.330 0.920 0.330
Li 0.331 0.919 0.919
Li 0.669 0.081 0.081
Li 0.670 0.080 0.670
Li 0.919 0.331 0.331
Li 0.920 0.330 0.920
Co 0.000 0.500 0.500
Co 0.500 0.000 0.500
Co 0.500 0.500 0.000
Co 0.500 0.500 0.500
C 0.270 0.654 0.292
C 0.285 0.292 0.654
C 0.292 0.285 0.270
C 0.346 0.730 0.715
C 0.654 0.270 0.285
C 0.708 0.715 0.730
********

## Work order
Next, give back every line above that contains the word "Li".

## Written answer
Li 0.080 0.670 0.080
Li 0.081 0.669 0.669
Li 0.330 0.920 0.330
Li 0.331 0.919 0.919
Li 0.669 0.081 0.081
Li 0.670 0.080 0.670
Li 0.919 0.331 0.331
Li 0.920 0.330 0.920